As the sun embarks on its northward journey, marking the end of the winter solstice, the vibrant celebration of Lohri lights up the skies of Punjab and Haryana. This harvest festival, celebrated a day before Makar Sankranti, holds immense significance, symbolizing new beginnings, abundance, and gratitude towards Mother Nature and Lord Surya. In this blog, let’s delve into the essence of Lohri 2024, exploring the rituals, legends, and heartwarming messages that encapsulate the spirit of this joyous occasion.
Celebrating Lohri:
Lohri, deeply rooted in Punjab and Haryana’s cultural fabric, welcomes the promise of warmer days. Lit bonfires symbolize the triumph over winter’s chill, and the festivities include singing, dancing, and storytelling. The legendary tale of Dulha Bhatti and Sundari Mundari comes alive through folk songs and captivating narratives, honoring Punjab’s heroic figure who saved young girls from slavery.
Dulla Bhatti’s Legacy:
Dulla Bhatti, a prominent historical figure in Punjab during the Mughal era, gained popularity for his noble acts. Known as the ‘Robin Hood’ of Punjab, he fearlessly stole from the rich to distribute to the poor and rescued Punjabi girls from the slave market. Lohri serves as a time to reflect on his bravery and express gratitude for his heroic deeds.
'''
The following is a DFT calculation (GGA-PBE) of Li2YCd6 after structural relaxation.

Lattice parameters (Å, degrees): 5.9851 5.9851 7.7047 90.00 90.00 120.00
Element x y z (fractional)
Li 0.3333 0.6667 0.0000
Li 0.6667 0.3333 0.0000
Y 0.0000 0.0000 0.5000
Cd 0.0000 0.5000 0.3060
Cd 0.0000 0.5000 0.6940
Cd 0.5000 0.0000 0.3060
Cd 0.5000 0.0000 0.6940
Cd 0.5000 0.5000 0.3060
Cd 0.5000 0.5000 0.6940

Values from the calculation:
- polymorph energy (0 for the lowest one) (meV per atom) = 173.0
- uncorrected energy (eV/cell) = -16.060

***

The following is a DFT calculation (GGA-PBE) of LiY3Cd4 after structural relaxation.

Lattice parameters (Å, degrees): 3.6671 3.6671 14.7365 90.00 90.00 90.00
Element x y z (fractional)
Li 0.0000 0.0000 0.0000
Y 0.0000 0.0000 0.2406
Y 0.0000 0.0000 0.5000
Y 0.0000 0.0000 0.7594
Cd 0.5000 0.5000 0.1068
Cd 0.5000 0.5000 0.3707
Cd 0.5000 0.5000 0.6293
Cd 0.5000 0.5000 0.8932

Values from the calculation:
- uncorrected energy (eV/cell) = -27.454

***

The following is a DFT calculation (GGA-PBE) of Li3Y2Cd4 after structural relaxation.

Lattice parameters (Å, degrees): 4.8286 5.6109 8.3731 75.89 89.76 64.69
Element x y z (fractional)
Li 0.0000 0.0000 0.0000
Li 0.3697 0.2616 0.4687
Li 0.6303 0.7384 0.5313
Y 0.2516 0.4944 0.7901
Y 0.7484 0.5056 0.2099
Cd 0.0790 0.8413 0.3631
Cd 0.4325 0.1355 0.1601
Cd 0.5675 0.8645 0.8399
Cd 0.9210 0.1587 0.6369

Values from the calculation:
- polymorph energy (0 for the lowest one) (meV per atom) = 0.0
- uncorrected energy (eV/cell) = -24.499

***

The following is a DFT calculation (GGA-PBE) of LiY3Cd2 after structural relaxation.

Lattice parameters (Å, degrees): 5.2492 15.7658 3.7917 90.00 90.00 90.00
Element x y z (fractional)
Li 0.0000 0.0000 0.0000
Li 0.5000 0.5000 0.0000
Y 0.0000 0.1667 0.5000
Y 0.0000 0.5000 0.5000
Y 0.0000 0.8333 0.5000
Y 0.5000 0.0000 0.5000
Y 0.5000 0.3333 0.5000
Y 0.5000 0.6667 0.5000
Cd 0.0000 0.3370 0.0000
Cd 0.0000 0.6630 0.0000
Cd 0.5000 0.1630 0.0000
Cd 0.5000 0.8370 0.0000

Values from the calculation:
- polymorph energy (0 for the lowest one) (meV per atom) = 0.0
- uncorrected energy (eV/cell) = -48.814

***

The following is a DFT calculation (GGA-PBE) of LiY2Cd8 after structural relaxation.

Lattice parameters (Å, degrees): 4.8388 6.7601 8.2960 104.40 106.40 90.24
Element x y z (fractional)
Li 0.0000 0.0000 0.0000
Y 0.2820 0.3378 0.5656
Y 0.7180 0.6622 0.4344
Cd 0.0964 0.4248 0.1856
Cd 0.1559 0.8820 0.3070
Cd 0.3478 0.8479 0.7029
Cd 0.4800 0.2678 0.9565
Cd 0.5200 0.7322 0.0435
Cd 0.6522 0.1521 0.2971
Cd 0.8441 0.1180 0.6930
Cd 0.9036 0.5752 0.8144

Values from the calculation:
- uncorrected energy (eV/cell) = -24.591

***

The following is a DFT calculation (GGA-PBE) of Li3Y2Cd4 after structural relaxation.

Lattice parameters (Å, degrees): 8.5157 8.5157 8.4086 90.00 90.00 139.18
Element x y z (fractional)
Li 0.0000 0.0000 0.0000
Li 0.0263 0.4737 0.2500
Li 0.4737 0.0263 0.7500
Li 0.5000 0.5000 0.5000
Li 0.5263 0.9737 0.2500
Li 0.9737 0.5263 0.7500
'''
End of the materials data:
Community Connection:
Lohri is more than a festival; it’s a time to rejoice and connect with people and communities. Around the bonfires, families and friends come together, creating memories that last a lifetime. The air is filled with laughter and joy as festival-specific treats like Sarson ka saag and makki ki roti, gajak and rewri, moongfali, and Dahi bhalle are shared and enjoyed.
Lohri Best Wishes and Messages:
Extend the festive cheer by sharing heartfelt wishes, images, and quotes with your loved ones. As Lohri 2024 unfolds, here’s a collection of messages that you can send to friends, relatives, and family members:
1. May the warmth of the bonfire fill your heart with joy and prosperity. Happy Lohri!
2. Wishing you abundant harvests of happiness and success. Happy Lohri 2024!
3. As the bonfire lights up the night, may your life be filled with the glow of happiness. Happy Lohri to you and your family!
4. Sending wishes for a year filled with prosperity, good health, and endless celebrations. Happy Lohri!
5. May the rhythmic beats of dhol and the warmth of the bonfire create unforgettable moments for you. Happy Lohri!
WhatsApp and Facebook Status:
Set the festive tone on your social media with these Lohri-themed status updates:
1. Dancing to the beats of joy around the Lohri bonfire! 🔥 Happy Lohri everyone!
2. Celebrating the harvest season with love, laughter, and Lohri delights. 🌾 Happy Lohri 2024!
3. Wishing you all the warmth and happiness this Lohri. May your life be as bright as the bonfire!🌟HappyLohri
4. the traditions and festivities of Lohri with open arms. Cheers to new beginnings and prosperity! 🎉
5. Savoring the flavors of Sarson ka saag and makki ki roti. Lohri vibes all around! 🥳
As Lohri 2024 unfolds, may the bonfires of joy and togetherness illuminate your life. Share the warmth, relish the festivities, and embrace the spirit of new beginnings. Happy Lohri to one and all! 🔥🌾🌟
Instead of the usual, share your heartfelt Lohri wishes with us in the comments below!